Pickup truck beds are not meant to carry living things. Although, this may be obvious to some, others are unaware of the dangers of letting a person ride in an area with no seats and no protective equipment. A person can be easily thrown from a truck bed and killed during a collision, especially when there is nothing to contain them. They can even be ejected during a normal turn if the person is not prepared for the shift in movement.
If someone you love has been injured from riding in a truck bed, contact a truck accident attorney at (312) 236-2900 for a free consultation. Our team will fight tirelessly to prove that the driver who caused your accident is responsible for your injuries and we will seek compensation for you and your family.
Truck beds were never designed to carry passengers. These areas have no seat belts, and they usually do not have seats. Further, the Insurance Institute for Highway Safety claims that truck beds are not designed to provide any sort of protection during an accident. When an accident occurs, the only hope for someone in a truck bed is to hold on for dear life, despite the truck driver’s best intentions.
According to the Children’s Safety Network, 50 people under the age of 21 are killed every year from riding in the bed of a pickup. In October, a 6-year-old boy was killed when he was thrown from the bed of a truck during an accident. In Arizona, where the accident occurred, there is no law against riding in a truck’s cargo space. Illinois only requires that seatbelts be present in the truck bed, but even violating this law only results in a $25 fine.
Accidents that involve death or injury while riding in a truck bed are infinitely complicated. While the driver of the pickup may not be at fault for the accident, they are responsible for putting someone’s life in danger. On the other hand, the person in the truck bed likely chose to ride there by their own free will. Since it is not illegal to ride in a truck bed in many states, the victim may be blamed. If an adult is thrown from a truck bed and injured in an accident, for example, the insurance company of the person who caused the accident will try to prove that the victim was to blame.
In most cases, a personal injury or wrongful death lawsuit can still be filed against the person responsible for the accident, especially if the laws forbidding riding in a truck bed are minimal.
Car accidents can devastate every aspect of your life. From personal relationships to financial burdens, there is no area left unaffected. If you would like to file a personal injury lawsuit or wrongful death lawsuit against the parties responsible for your accident, contact our lawyers at (312) 236-2900.
********
Record 1
Material: U2Al3Sn3
Method: DFT, PBE-GGA
State: optimized geometry

The value obtained for the formation energy is -0.124 eV per atom. As for the space group: No. 47. The density comes out at 8.6 g cm⁻³.

Lattice parameters (Å, degrees): 4.428 4.472 8.928 90.00 90.00 90.00
Sites, in units of the cell vectors:
U: 0.000 0.000 0.753
U: 0.000 0.000 0.247
Al: 0.500 0.500 0.764
Al: 0.500 0.500 0.236
Al: 0.500 0.000 0.000
Sn: 0.500 0.000 0.500
Sn: 0.000 0.500 0.000
Sn: 0.000 0.500 0.500

=====

Record 2
Material: InRhO3
Method: DFT, PBE-GGA
State: optimized geometry

The value obtained for the formation energy is -1.213 eV per atom. As for the space group: No. 62. The density comes out at 7.2 g cm⁻³.

Lattice parameters (Å, degrees): 5.341 5.530 8.245 90.00 90.00 90.00
Sites, in units of the cell vectors:
In: 0.000 0.000 0.000
In: 0.500 0.500 0.000
In: 0.000 0.000 0.500
In: 0.500 0.500 0.500
Rh: 0.006 0.449 0.250
Rh: 0.994 0.551 0.750
Rh: 0.506 0.051 0.750
Rh: 0.494 0.949 0.250
O: 0.327 0.181 0.097
O: 0.673 0.819 0.903
O: 0.827 0.319 0.903
O: 0.673 0.819 0.597
O: 0.173 0.681 0.097
O: 0.327 0.181 0.403
O: 0.173 0.681 0.403
O: 0.827 0.319 0.597
O: 0.666 0.618 0.250
O: 0.334 0.382 0.750
O: 0.166 0.882 0.750
O: 0.834 0.118 0.250

=====

Record 3
Material: Li2Be2H4NF7
Method: DFT, PBE-GGA
State: optimized geometry

The value obtained for the formation energy is -2.514 eV per atom. As for the space group: No. 62. The density comes out at 1.9 g cm⁻³.

Lattice parameters (Å, degrees): 10.273 12.499 5.071 90.00 90.00 90.00
Sites, in units of the cell vectors:
Li: 0.654 0.998 0.702
Li: 0.154 0.502 0.798
Li: 0.346 0.498 0.298
Li: 0.846 0.002 0.202
Li: 0.346 0.002 0.298
Li: 0.846 0.498 0.202
Li: 0.654 0.502 0.702
Li: 0.154 0.998 0.798
Be: 0.400 0.132 0.784
Be: 0.900 0.368 0.716
Be: 0.600 0.632 0.216
Be: 0.100 0.868 0.284
Be: 0.600 0.868 0.216
Be: 0.100 0.632 0.284
Be: 0.400 0.368 0.784
Be: 0.900 0.132 0.716
H: 0.599 0.250 0.439
H: 0.099 0.250 0.061
H: 0.401 0.750 0.561
H: 0.901 0.750 0.939
H: 0.588 0.183 0.152
H: 0.088 0.317 0.348
H: 0.412 0.683 0.848
H: 0.912 0.817 0.652
H: 0.412 0.817 0.848
H: 0.912 0.683 0.652
H: 0.588 0.317 0.152
H: 0.088 0.183 0.348
H: 0.727 0.250 0.230
H: 0.227 0.250 0.270
H: 0.273 0.750 0.770
H: 0.773 0.750 0.730
N: 0.627 0.250 0.243
N: 0.127 0.250 0.257
N: 0.373 0.750 0.757
N: 0.873 0.750 0.743
F: 0.543 0.116 0.695
F: 0.043 0.384 0.805
F: 0.457 0.616 0.305
F: 0.957 0.884 0.195
F: 0.457 0.884 0.305
F: 0.957 0.616 0.195
F: 0.543 0.384 0.695
F: 0.043 0.116 0.805
F: 0.307 0.052 0.639
F: 0.807 0.448 0.861
F: 0.693 0.552 0.361
F: 0.193 0.948 0.139
F: 0.693 0.948 0.361
F: 0.193 0.552 0.139
F: 0.307 0.448 0.639
F: 0.807 0.052 0.861
F: 0.390 0.120 0.088
F: 0.890 0.380 0.412
F: 0.610 0.620 0.912
F: 0.110 0.880 0.588
F: 0.610 0.880 0.912
F: 0.110 0.620 0.588
F: 0.390 0.380 0.088
F: 0.890 0.120 0.412
F: 0.355 0.250 0.704
F: 0.855 0.250 0.796
F: 0.645 0.750 0.296
F: 0.145 0.750 0.204

=====

Record 4
Material: Rb2NaFeC6N6
Method: DFT, PBE-GGA
********
Our car accident attorneys serve clients throughout the Chicago area, including Aurora, Elgin, Hinsdale, Joliet, Naperville, and Waukegan.